_What to do_
Quote every line underneath that contains the word "KCaReAu2".

_Data_
/*
Entry 1:
KRb2CaAu: optimized geometry, PBE.

a b c (Å): 6.8963 6.8963 5.9351
angles (deg): 90.00 90.00 90.00
Atoms (fractional coordinates):
1 K 0.0000 0.0000 0.0000
2 Rb 0.0000 0.5000 0.5000
3 Rb 0.5000 0.0000 0.5000
4 Ca 0.5000 0.5000 0.0000
5 Au 0.5000 0.5000 0.5000

Properties
calculated density: 2.6 g cm⁻³
energy: -8.83 eV for the cell shown



Entry 2:
K2RbCaAu: optimized geometry, PBE.

a b c (Å): 6.6744 6.6744 5.9141
angles (deg): 90.00 90.00 90.00
Atoms (fractional coordinates):
1 K 0.0000 0.5000 0.0000
2 K 0.5000 0.0000 0.0000
3 Rb 0.0000 0.0000 0.5000
4 Ca 0.5000 0.5000 0.5000
5 Au 0.5000 0.5000 0.0000

Properties
calculated density: 2.5 g cm⁻³
energy: -9.05 eV for the cell shown



Entry 3:
KCaReAu2: optimized geometry, PBE.

a b c (Å): 5.1475 5.1475 5.2575
angles (deg): 90.00 90.00 90.00
Atoms (fractional coordinates):
1 K 0.0000 0.0000 0.0000
2 Ca 0.5000 0.5000 0.0000
3 Re 0.0000 0.0000 0.5000
4 Au 0.0000 0.5000 0.5000
5 Au 0.5000 0.0000 0.5000

Properties
calculated density: 7.9 g cm⁻³
energy: -17.88 eV for the cell shown



Entry 4:
KCaSb2Au: optimized geometry, PBE.

a b c (Å): 5.7187 5.7187 6.2397
angles (deg): 90.00 90.00 90.00
Atoms (fractional coordinates):
1 K 0.0000 0.0000 0.0000
2 Ca 0.0000 0.0000 0.5000
3 Sb 0.0000 0.5000 0.5000
4 Sb 0.5000 0.0000 0.5000
5 Au 0.5000 0.5000 0.0000

Properties
formation energy without anion corrections: 0.471 eV per atom
calculated density: 4.2 g cm⁻³



Entry 5:
KCaSi2Au5: optimized geometry, PBE.

a b c (Å): 4.7525 4.7525 9.9281
angles (deg): 90.00 90.00 90.00
Atoms (fractional coordinates):
1 K 0.0000 0.0000 0.0000
2 Ca 0.0000 0.0000 0.5000
3 Si 0.5000 0.5000 0.2446
4 Si 0.5000 0.5000 0.7554
5 Au 0.0000 0.5000 0.3044
6 Au 0.0000 0.5000 0.6956
7 Au 0.5000 0.0000 0.3044
8 Au 0.5000 0.0000 0.6956
9 Au 0.5000 0.5000 0.0000

Properties
formation energy without anion corrections: -0.355 eV per atom
calculated density: 8.3 g cm⁻³



Entry 6:
KCaSi2Au: optimized geometry, PBE.

a b c (Å): 5.4099 5.4099 5.9667
angles (deg): 90.00 90.00 90.00
Atoms (fractional coordinates):
1 K 0.0000 0.0000 0.0000
2 Ca 0.0000 0.0000 0.5000
3 Si 0.0000 0.5000 0.5000
4 Si 0.5000 0.0000 0.5000
5 Au 0.5000 0.5000 0.0000

Properties
formation energy without anion corrections: 1.118 eV per atom
calculated density: 3.2 g cm⁻³



Entry 7:
K2CaSn3Au4: optimized geometry, PBE.

a b c (Å): 4.9611 4.9611 11.2112
angles (deg): 90.00 90.00 90.00
Atoms (fractional coordinates):
1 K 0.0000 0.5000 0.2320
2 K 0.5000 0.0000 0.7680
3 Ca 0.0000 0.0000 0.5000
4 Sn 0.0000 0.5000 0.8828
5 Sn 0.5000 0.0000 0.1172
6 Sn 0.5000 0.5000 0.5000
7 Au 0.0000 0.0000 0.0000
8 Au 0.0000 0.5000 0.6387
9 Au 0.5000 0.0000 0.3613
10 Au 0.5000 0.5000 0.0000

Properties
calculated density: 7.6 g cm⁻³
energy: -33.30 eV for the cell shown



Entry 8:
KCa2WAu: optimized geometry, PBE.

a b c (Å): 5.8003 5.8003 5.1235
angles (deg): 90.00 90.00 90.00
Atoms (fractional coordinates):
1 K 0.0000 0.0000 0.0000
2 Ca 0.0000 0.5000 0.5000
3 Ca 0.5000 0.0000 0.5000
4 W 0.5000 0.5000 0.0000
5 Au 0.5000 0.5000 0.5000

Properties
calculated density: 4.8 g cm⁻³
energy: -17.95 eV for the cell shown



Entry 9:
Ca2LaAu: optimized geometry, PBE.

a b c (Å): 4.6591 4.6591 11.2734
angles (deg): 90.00 90.00 90.00
Atoms (fractional coordinates):
1 Ca 0.0000 0.5000 0.2500
2 Ca 0.0000 0.5000 0.7500
3 Ca 0.5000 0.0000 0.2500
4 Ca 0.5000 0.0000 0.7500
5 La 0.0000 0.0000 0.0000
6 La 0.5000 0.5000 0.5000
7 Au 0.0000 0.0000 0.5000
8 Au 0.5000 0.5000 0.0000

Properties
calculated density: 5.6 g cm⁻³
energy: -25.78 eV for the cell shown



Entry 10:
Ca3La2Au2: optimized geometry, PBE.

a b c (Å): 13.2063 3.9111 9.7588
angles (deg): 90.00 117.16 90.00
Atoms (fractional coordinates):
1 Ca 0.0000 0.0000 0.0000
2 Ca 0.1161 0.0000 0.4371
3 Ca 0.3839 0.5000 0.5629
4 Ca 0.5000 0.5000 0.0000
5 Ca 0.6161 0.5000 0.4371
6 Ca 0.8839 0.0000 0.5629
7 La 0.1738 0.5000 0.8263
8 La 0.3262 0.0000 0.1737
9 La 0.6738 0.0000 0.8263
10 La 0.8262 0.5000 0.1737
11 Au 0.1709 0.5000 0.2361
*/

_Solution_
KCaReAu2: optimized geometry, PBE.